Upcoming Events
Unrelated to this article: records of crystals =
+++
Compound: K2CrMoF6
Source: Alexandria via LeMat-Bulk
Functional: PBE+U
Structure: relaxed

Geometry as POSCAR:
```
K2CrMoF6
1.0
6.144 0.000 0.000
0.000 6.310 0.000
0.000 0.000 8.392
K Cr Mo F
4 2 2 12
direct
0.500 0.750 0.253
0.000 0.250 0.753
0.500 0.750 0.747
0.000 0.250 0.247
0.000 0.750 0.500
0.500 0.250 0.000
0.500 0.250 0.500
0.000 0.750 0.000
0.500 0.250 0.240
0.500 0.250 0.760
0.000 0.750 0.260
0.000 0.750 0.740
0.252 0.990 0.500
0.748 0.990 0.500
0.252 0.510 0.500
0.748 0.510 0.500
0.752 0.490 0.000
0.248 0.490 0.000
0.248 0.010 0.000
0.752 0.010 0.000
```

Results
Energy: -5.21 eV/atom

=====

## HfPbIO2 (PBE)

Data for a relaxed structure of HfPbIO2. Values from VASP.

Geometry as Quantum ESPRESSO input:
```
&SYSTEM
  ibrav = 0, nat = 5, ntyp = 4
/
ATOMIC_SPECIES
Pb 207.20 Pb.upf
I 126.90 I.upf
Hf 178.49 Hf.upf
O 16.00 O.upf
CELL_PARAMETERS angstrom
-1.0069 -0.9787 4.1614
-3.1241 -2.7498 -1.4026
4.0669 -4.5739 -0.0916
ATOMIC_POSITIONS angstrom
Pb 0.0000 0.0000 0.0000
I 2.0335 -2.2869 -0.0458
Hf -0.0321 -4.1511 1.3336
O -1.5621 -1.3749 -0.7013
O -0.5035 -0.4893 2.0807
```

- calculated total energy (eV/atom) = -4.71
- E above lowest polymorph (eV/atom) = 1.578
- raw formation energy (eV/f.u.) = 1.6

***

## HfPbI2O (PBE)

Data for a relaxed structure of HfPbI2O. Values from VASP.

Geometry as Quantum ESPRESSO input:
```
&SYSTEM
  ibrav = 0, nat = 5, ntyp = 4
/
ATOMIC_SPECIES
Pb 207.20 Pb.upf
I 126.90 I.upf
Hf 178.49 Hf.upf
O 16.00 O.upf
CELL_PARAMETERS angstrom
-3.0135 -5.5485 -1.4712
2.5431 -2.7801 5.2758
-3.3526 1.2217 2.2598
ATOMIC_POSITIONS angstrom
Pb 0.0000 0.0000 0.0000
I 1.2715 -1.3901 2.6379
I -1.5067 -2.7742 -0.7356
Hf -1.9115 -3.5535 3.0322
O -1.6763 0.6108 1.1299
```

- calculated total energy (eV/atom) = -3.96
- E above lowest polymorph (eV/atom) = 1.329
- raw formation energy (eV/f.u.) = 1.9

***

## HfPbIO6 (PBE)

Data for a relaxed structure of HfPbIO6. Values from VASP.

Geometry as Quantum ESPRESSO input:
```
&SYSTEM
  ibrav = 0, nat = 9, ntyp = 4
/
ATOMIC_SPECIES
Hf 178.49 Hf.upf
Pb 207.20 Pb.upf
I 126.90 I.upf
O 16.00 O.upf
CELL_PARAMETERS angstrom
5.5190 0.0001 0.0000
2.7596 4.7795 0.0000
0.0001 -0.0001 5.3802
ATOMIC_POSITIONS angstrom
Hf 5.5189 3.1863 2.6901
Pb 8.2784 4.7794 5.3801
I 2.7594 1.5932 2.6901
O 1.0891 1.7854 1.5668
O 2.0907 0.0505 3.8133
O 4.4298 1.7855 3.8133
O 1.7577 2.9436 3.8133
O 3.7612 2.9436 1.5668
O 3.4281 0.0504 1.5668
```

- calculated total energy (eV/atom) = -6.49
- raw formation energy (eV/f.u.) = -13.4

=====

[1]
# Tb3Nd4Th2 (PBE, relaxed)
# - ΔE to the lowest computed polymorph (kJ/mol of formula units) = 0
# - calculated total energy (eV per atom) = -5.297
data_Tb3Nd4Th2
_chemical_formula_sum 'Tb6 Nd8 Th4'
_cell_length_a 18.9224
_cell_length_b 3.6472
_cell_length_c 9.7025
_cell_angle_alpha 90.00
_cell_angle_beta 115.63
_cell_angle_gamma 90.00
_symmetry_space_group_name_H-M 'C 1 2/m 1'
_symmetry_Int_Tables_number 12
loop_
_symmetry_equiv_pos_as_xyz
'x,y,z'
'-x,-y,-z'
'-x,y,-z'
'x,-y,z'
+++
So much for the records of crystals =
The Bible: bit by bit
Interested in reading the Bible but not sure where to start? Wanting background information to better understand the Bible? Come join us as we take the Bible bit by bit, reading it together and learning more about its context in order to better understand what it has to teach us today. We'll meet on the fourth Sundays of the month at 9:05am (between our two worship services) in the Community Room.
These session will be in-person only, and not recorded. Absolutely no experience necessary. We can't wait to see you!
Pre-Session Assignment: Read the first 15 Chapters of Genesis, the first book of the Bible. What do you notice? Who were these stories written for, by whom, for what purpose?
Sunday, September 15 after the 10:15am service
Kickoff Sunday and Parish Picnic Plan to attend the beginning of the Program Year for Sunday School, Choir and other programs. We'll celebrate with an ALL PARISH PICNIC on 9/15 after the 10:15am service. Come and get to know your fellow parishioners!
We'll provide sub sandwiches, pizza and beverages. You bring sides and desserts. FOOD SIGN UP
We’re also in need of several volunteers for set up and take down on both Saturday (9/14) and Sunday (9/15). VOLUNTEER SIGN UP
P.S. Don't forget to bring a lawn chair - we'll have some chairs, but need everyone who can to bring their own.
Prayer Service on the Anniversary of 9/11/2001
Between two parts of the page: records of crystals.
____________
No. 1
The following is a GGA-PBE calculation of a relaxed structure of Co2TePb, from the Alexandria database.

Properties
The calculation puts the calculated volume at 21.3 Å³/atom. The offset from the most stable computed form is 342 meV per atom. The formation energy without anion corrections comes out at 466 meV/atom. The calculated total energy is -4.7990 eV per atom.

abc: 4.604 4.604 8.666
angles: 74.60 74.60 90.00
Each line ends with the local moment (μB).
Fractional coordinates of all 8 atoms:
Co 0.875 0.796 0.750  1.04
Pb 0.750 0.250 0.500  -0.04
Pb 0.000 0.000 0.000  -0.04
Te 0.500 0.500 0.000  -0.02
Co 0.375 0.454 0.750  1.05
Co 0.204 0.625 0.250  1.13
Co 0.546 0.125 0.250  1.11
Te 0.250 0.750 0.500  -0.02


No. 2
The following is a GGA-PBE calculation of a relaxed structure of AlB2W, from the Alexandria database.

Properties
The calculation puts the calculated volume at 11.3 Å³/atom. For the energy relative to the elements, the calculation gives 326 meV/atom. The calculated total energy is -7.1864 eV per atom.

abc: 3.291 3.291 5.185
angles: 71.50 71.50 60.00
Fractional coordinates of all 4 atoms:
Al 0.000 0.000 0.000
B 0.246 0.246 0.263
W 0.500 0.500 0.500
B 0.754 0.754 0.737


No. 3
The following is a GGA-PBE calculation of a relaxed structure of Ac2SiO, from the Alexandria database.

Properties
The calculation puts the calculated volume at 22.7 Å³/atom. The offset from the most stable computed form is 559 meV per atom. The formation energy without anion corrections comes out at -1113 meV/atom. The calculated total energy is -5.7629 eV per atom.

abc: 3.469 3.469 7.558
angles: 90.00 90.00 90.00
Fractional coordinates of all 4 atoms:
Ac 0.000 0.000 0.773
Ac 0.000 0.000 0.227
Si 0.500 0.500 0.500
O 0.500 0.500 0.000


> calculated total energy of number 2 (AlB2W)?

-7.1864 eV per atom
____________
Here the page continues.
Wednesday September 11, 1pm in the St. John's Chapel
We will gather for prayer on this day as many remember and grieve the tragic acts of terrorism. Join us for a time of silent contemplation and prayer for peace.
St. John's Hiking Group - Outdoor Eucharist Saturday, September 21, 10am-12pm at Maybury State Park
Join us for a meditative walk/hike as we listen to the song of creation and ground ourselves in the beauty of the natural world around us. We'll share in a time of prayer and thanksgiving, including Eucharist outdoors. People of all ages are welcome! Questions? Reach out to Pastor Gerardo or Veronica Griffith.
Faith and Justice Retreat Saturday, September 28 ~ 10am-12pm
What does it look like to put our faith into action for the world that God so loves? Join us as we pray, dialogue, and learn together about important issues affecting our extended community. Whether you've attended Faith and Justice meetings before or if you are interested or curious about outreach ministries, there's room for you at the table!
Blessing of the Animals (Pet Blessing) Sunday, October 6,
4pm-5pm at Meininger Park, Royal Oak
Bring your animal companion (on leash or in crates) for a special blessing in celebration of God's love manifested in our pets. We also bless the memory of those pets who have gone to the Rainbow Bridge. Plan to stay after to share fun animal stories, get to know one another, and play with the pets. People of all ages are welcome, so please share with your friends!